Job.
Say how many lines of the calculation results below hold the word "to", as a bare number.
Contents.
'''
Record 1
# K2Sn2O3

Crystalline K2Sn2O3 at its relaxed geometry (PBE, the Materials Project).

a b c (Å): 7.3735 7.3735 7.3735
angles (deg): 109.47 109.47 109.47
Positions (direct):
K 0.5000 0.0000 0.4819
K 0.0181 0.0181 0.0181
K 0.4819 0.5000 0.0000
K 0.0000 0.4819 0.5000
Sn 0.0000 0.0116 0.5000
Sn 0.0116 0.5000 0.0000
Sn 0.4884 0.4884 0.4884
Sn 0.5000 0.0000 0.0116
O 0.9793 0.2293 0.7500
O 0.5207 0.2707 0.2500
O 0.2293 0.7500 0.9793
O 0.7500 0.9793 0.2293
O 0.2500 0.5207 0.2707
O 0.2707 0.2500 0.5207

Formation energy from the elements in eV/atom: -1.748
Piezoelectric modulus e_max in C/m2: 0.0
Energy with MP2020 corrections in eV per atom: -5.3319

***

Record 2
# K2Sn2O3

Crystalline K2Sn2O3 at its relaxed geometry (PBE, the Materials Project).

a b c (Å): 5.9785 5.9785 5.9785
angles (deg): 61.80 61.80 61.80
Positions (direct):
K 0.5000 0.5000 0.5000
K 0.0000 0.0000 0.0000
Sn 0.2409 0.2409 0.2409
Sn 0.7591 0.7591 0.7591
O 0.0000 0.0000 0.5000
O 0.0000 0.5000 0.0000
O 0.5000 0.0000 0.0000

Formation energy from the elements in eV/atom: -1.740
Energy with MP2020 corrections in eV per atom: -5.3236

***

Record 3
# K2SnO6

Crystalline K2SnO6 at its relaxed geometry (PBE, the Materials Project).

a b c (Å): 5.6773 5.6773 5.6773
angles (deg): 77.92 77.92 77.92
Positions (direct):
K 0.6858 0.6858 0.6858
K 0.3142 0.3142 0.3142
Sn 0.0000 0.0000 0.0000
O 0.9088 0.6752 0.1979
O 0.6752 0.1979 0.9088
O 0.1979 0.9088 0.6752
O 0.0912 0.3248 0.8021
O 0.3248 0.8021 0.0912
O 0.8021 0.0912 0.3248

Formation energy from the elements in eV/atom: -0.861
Energy with MP2020 corrections in eV per atom: -4.8522

***

Record 4
# K4SrU3O12

Crystalline K4SrU3O12 at its relaxed geometry (PBE, the Materials Project).

a b c (Å): 7.5998 7.5998 7.5998
angles (deg): 109.47 109.47 109.47
Positions (direct):
K 0.0000 0.5000 0.0000
K 0.5000 0.5000 0.5000
K 0.0000 0.0000 0.5000
K 0.5000 0.0000 0.0000
Sr 0.0000 0.0000 0.0000
U 0.5000 0.5000 0.0000
U 0.5000 0.0000 0.5000
U 0.0000 0.5000 0.5000
O 0.2783 0.0000 0.2783
O 0.0000 0.2783 0.2783
O 0.5000 0.2500 0.7500
O 0.7500 0.5000 0.2500
O 0.2500 0.7500 0.5000
O 0.7500 0.2500 0.5000
O 0.0000 0.7217 0.7217
O 0.2500 0.5000 0.7500
O 0.5000 0.7500 0.2500
O 0.7217 0.0000 0.7217
O 0.7217 0.7217 0.0000
O 0.2783 0.2783 0.0000

Formation energy from the elements in eV/atom: -3.261
Energy with MP2020 corrections in eV per atom: -8.2297

~~~~~

First-principles (GGA-PBE) data for an optimized crystal structure of SrGeO3, as listed in the Materials Project database.

* E_tot: -32.814 eV per formula unit

Geometry as extended XYZ:
```
30
Lattice="6.366 -3.685 0.000 6.366 3.685 0.000 -4.152 0.000 10.586" Properties=species:S:1:pos:R:3 pbc="T T T"
Sr 3.183 1.843 0.000
Sr 3.187 1.900 5.300
Sr 3.315 1.900 10.579
Sr 1.107 -1.843 5.293
Sr 5.263 -1.900 0.007
Sr 5.391 -1.900 5.286
Ge 5.327 2.526 2.646
Ge 1.589 0.350 7.978
Ge 3.665 -0.350 2.685
Ge 4.913 0.350 7.900
Ge 6.989 -0.350 2.608
Ge 3.251 -2.526 7.939
O 5.302 3.228 1.067
O 5.353 3.228 4.226
O 0.961 0.707 6.405
O 3.836 1.469 2.662
O 1.014 0.690 9.578
O 3.251 1.114 7.939
O 3.037 -0.707 1.113
O 6.819 1.469 2.631
O 3.090 -0.690 4.286
O 5.489 0.690 6.300
O 1.760 -1.469 7.955
O 5.541 0.707 9.473
O 5.327 -1.114 2.646
O 7.565 -0.690 1.007
O 4.742 -1.469 7.923
O 7.617 -0.707 4.180
O 3.226 -3.228 6.360
O 3.277 -3.228 9.519
```

~~~~~

The following is a GGA-PBE calculation of a relaxed Sn crystal, from Materials Project.

Cell: 3.335 3.335 3.335 Å, 119.06 108.24 101.61°
Fractional coordinates of all 1 atoms:
Sn1 0.000 0.000 0.000

Space group: Immm (71)
ΔE to the lowest computed polymorph (eV per formula unit): 0.07
Total magnetization (μB per atom): 0.001
Electronic total energy (eV/cell): -3.94


The following is a GGA-PBE calculation of a relaxed Gd3MnB7 crystal, from Materials Project.

Cell: 8.139 8.139 9.371 Å, 90.00 90.00 24.46°
Fractional coordinates of all 22 atoms:
Gd1 0.241 0.241 0.750
B1 0.370 0.370 0.153
B2 0.630 0.630 0.847
B3 0.273 0.273 0.031
Gd2 0.896 0.896 0.939
'''
Solution.
1